Contents:
- - -
# CuAg9
Simulated powder XRD pattern, Cu Ka. Input: a PBE-relaxed structure.
Lines closer than 0.1° are merged.

Peak list (8 most intense, 10 to 80 degrees two-theta, most intense first)
2θ 37.9, d 2.371, I 100, (1 1 -3)
2θ 43.7, d 2.071, I 45, (3 1 1)
2θ 37.8, d 2.378, I 37, (2 0 4)
2θ 44.8, d 2.024, I 19, (2 0 -6)
2θ 76.5, d 1.245, I 15, (4 2 -2)
2θ 63.5, d 1.465, I 14, (0 2 0)
2θ 64.3, d 1.450, I 13, (1 1 7)
2θ 64.5, d 1.446, I 11, (5 1 -5)

Structural model:
Unit cell a=9.6667 b=2.9273 c=12.5028 alpha=90.00 beta=100.98 gamma=90.00
Space group C2/m (No. 12)
Unique sites:
Cu1 0.0000 0.0000 0.0000 x2
Ag1 0.0000 0.5000 0.5000 x2
Ag2 0.0943 0.0000 0.7038 x4
Ag3 0.1066 0.5000 0.1882 x4
Ag4 0.1867 0.5000 0.9063 x4
Ag5 0.2021 0.0000 0.3968 x4



# Cu5Ag3
Simulated powder XRD pattern, Cu Ka. Input: a PBE-relaxed structure.
Lines closer than 0.1° are merged.

Peak list (8 most intense, 10 to 80 degrees two-theta, most intense first)
2θ 40.5, d 2.227, I 100, (1 0 -3)
2θ 46.7, d 1.944, I 45, (2 1 -2)
2θ 41.2, d 2.192, I 31, (3 0 -1)
2θ 48.5, d 1.877, I 17, (2 0 2)
2θ 69.2, d 1.358, I 11, (0 1 4)
2θ 70.0, d 1.343, I 10, (4 1 0)
2θ 67.6, d 1.385, I 7, (0 2 0)
2θ 68.8, d 1.365, I 6, (4 0 -4)

Structural model:
Unit cell a=6.5805 b=2.7699 c=6.6744 alpha=90.00 beta=110.97 gamma=90.00
Space group P2/m (No. 10)
Unique sites:
Cu1 0.0000 0.0000 0.0000 x1
Cu2 0.2788 0.0000 0.7747 x2
Cu3 0.3661 0.5000 0.1101 x2
Ag1 0.1046 0.5000 0.3593 x2
Ag2 0.5000 0.0000 0.5000 x1



# Cu3Ag5
Simulated powder XRD pattern, Cu Ka. Input: a PBE-relaxed structure.
Lines closer than 0.1° are merged.

Peak list (8 most intense, 10 to 80 degrees two-theta, most intense first)
2θ 39.2, d 2.296, I 100, (1 0 2)
2θ 44.9, d 2.018, I 34, (1 2 0)
2θ 67.1, d 1.395, I 18, (1 2 4)
2θ 47.0, d 1.932, I 14, (0 0 4)
2θ 79.0, d 1.213, I 12, (2 2 2)
2θ 79.1, d 1.211, I 12, (1 4 2)
2θ 65.3, d 1.428, I 5, (2 0 0)
2θ 65.5, d 1.425, I 5, (0 4 0)

Structural model:
Unit cell a=2.8569 b=5.7017 c=7.7273 alpha=90.00 beta=90.00 gamma=90.00
Space group Pmmm (No. 47)
Unique sites:
Cu1 0.0000 0.0000 0.0000 x1
Cu2 0.0000 0.0000 0.5000 x1
Cu3 0.0000 0.5000 0.0000 x1
Ag1 0.0000 0.5000 0.5000 x1
Ag2 0.5000 0.2449 0.2387 x4
- - -
What to do:
Now set down the whole of the material above unchanged.
Done:
# CuAg9
Simulated powder XRD pattern, Cu Ka. Input: a PBE-relaxed structure.
Lines closer than 0.1° are merged.

Peak list (8 most intense, 10 to 80 degrees two-theta, most intense first)
2θ 37.9, d 2.371, I 100, (1 1 -3)
2θ 43.7, d 2.071, I 45, (3 1 1)
2θ 37.8, d 2.378, I 37, (2 0 4)
2θ 44.8, d 2.024, I 19, (2 0 -6)
2θ 76.5, d 1.245, I 15, (4 2 -2)
2θ 63.5, d 1.465, I 14, (0 2 0)
2θ 64.3, d 1.450, I 13, (1 1 7)
2θ 64.5, d 1.446, I 11, (5 1 -5)

Structural model:
Unit cell a=9.6667 b=2.9273 c=12.5028 alpha=90.00 beta=100.98 gamma=90.00
Space group C2/m (No. 12)
Unique sites:
Cu1 0.0000 0.0000 0.0000 x2
Ag1 0.0000 0.5000 0.5000 x2
Ag2 0.0943 0.0000 0.7038 x4
Ag3 0.1066 0.5000 0.1882 x4
Ag4 0.1867 0.5000 0.9063 x4
Ag5 0.2021 0.0000 0.3968 x4



# Cu5Ag3
Simulated powder XRD pattern, Cu Ka. Input: a PBE-relaxed structure.
Lines closer than 0.1° are merged.

Peak list (8 most intense, 10 to 80 degrees two-theta, most intense first)
2θ 40.5, d 2.227, I 100, (1 0 -3)
2θ 46.7, d 1.944, I 45, (2 1 -2)
2θ 41.2, d 2.192, I 31, (3 0 -1)
2θ 48.5, d 1.877, I 17, (2 0 2)
2θ 69.2, d 1.358, I 11, (0 1 4)
2θ 70.0, d 1.343, I 10, (4 1 0)
2θ 67.6, d 1.385, I 7, (0 2 0)
2θ 68.8, d 1.365, I 6, (4 0 -4)

Structural model:
Unit cell a=6.5805 b=2.7699 c=6.6744 alpha=90.00 beta=110.97 gamma=90.00
Space group P2/m (No. 10)
Unique sites:
Cu1 0.0000 0.0000 0.0000 x1
Cu2 0.2788 0.0000 0.7747 x2
Cu3 0.3661 0.5000 0.1101 x2
Ag1 0.1046 0.5000 0.3593 x2
Ag2 0.5000 0.0000 0.5000 x1



# Cu3Ag5
Simulated powder XRD pattern, Cu Ka. Input: a PBE-relaxed structure.
Lines closer than 0.1° are merged.

Peak list (8 most intense, 10 to 80 degrees two-theta, most intense first)
2θ 39.2, d 2.296, I 100, (1 0 2)
2θ 44.9, d 2.018, I 34, (1 2 0)
2θ 67.1, d 1.395, I 18, (1 2 4)
2θ 47.0, d 1.932, I 14, (0 0 4)
2θ 79.0, d 1.213, I 12, (2 2 2)
2θ 79.1, d 1.211, I 12, (1 4 2)
2θ 65.3, d 1.428, I 5, (2 0 0)
2θ 65.5, d 1.425, I 5, (0 4 0)

Structural model:
Unit cell a=2.8569 b=5.7017 c=7.7273 alpha=90.00 beta=90.00 gamma=90.00
Space group Pmmm (No. 47)
Unique sites:
Cu1 0.0000 0.0000 0.0000 x1
Cu2 0.0000 0.0000 0.5000 x1
Cu3 0.0000 0.5000 0.0000 x1
Ag1 0.0000 0.5000 0.5000 x1
Ag2 0.5000 0.2449 0.2387 x4